Thursday, February 28, 2013

Weddings and the Single Girl (Not a Pity Post, I promise!)

Yesterday, I posted my recent Pinterest "for the home" favorites.  I mentioned that lately, I've been a pinning freak.  Anything and everything that strikes my fancy.  What I failed to mention was that my favorite board of all time is the one I've titled Saving For the Future.  If you've been around here for a while, you may have read my post about my thoughts on singleness.  If not, feel free to check it out here.  Despite the fact that I'm single and currently lacking prospects, that doesn't mean that I'm not emotionally, spiritually, and aesthetically (aesthetically, does that work??) preparing for my future wedding.  My Pinterest board is proof.  Well, at least in regard to the aesthetics.

The other day, while mindlessly searching around, I found a video that completely stopped me in my tracks.  This is probably my favorite pin of all time.  If you have a spare 4 minutes, check it out.  Take my word for it, it's totally worth it.

Good, right?  Talk about priorities!  This couple sought to honor Christ as the foundation of their relationship and wove such beautiful elements into their ceremony as a way to honor Him.  Wouldn't you just love to have been sitting in the audience for this?  I can't watch it without getting choked up in my pajamas at home.  I cannot even imagine what a blubbering mess I would have been if I were there.

Plus, how cute was it that the groomsmen and bridesmaids were barefoot for the ceremony.  I don't know if I could ever pull that off, but it sure worked for them!

Happy Thursday, friends!

Wednesday, February 27, 2013

Pinterest Around the House

Pinterest has become my best friend again, especially during my 25 minute lunch break.  I feel like I'm plenty sociable with my coworkers, but, during my brief lunch, I just need a bit of uninterrupted quiet time.  Which, of course, means that I scarf down a Lean Cuisine at my desk while perusing Pinterest for *must pin* items.

Lately, I've been pinning tons of "For the Home" ideas.  My hope this year is to actually purchase my first house.  Hope, not goal.  But, hope.  I'm praying like a mad woman about this huge decision.  It may work out.  It may not.  We shall see.  I'm planning to start getting serious when things settle down in the summer.  Until then, I'm pinning like crazy, anything and everything that gets my attention.  I would love to purchase a fixer-upper in an old, Spanish moss draped neighborhood, that I can make my own.  Basically, I will be renovating on a seriously fixed teacher's income, and I know a lot of this is probably out of the question.  Some of it , though, I might be able to modify and fix up in my own way. 

My ideas...

                                                                        Source: via Suzanne on Pinterest

                                                                    Source: via Suzanne on Pinterest

                                                                               Source: via Suzanne on Pinterest

                                                                    Source: via Suzanne on Pinterest

                                                                     Source: via Suzanne on Pinterest

                                                                               Source: via Suzanne on Pinterest

                                                          Source: via Suzanne on Pinterest

                                                                                Source: via Suzanne on Pinterest

                                                                       Source: via Suzanne on Pinterest

                                                                  Source: via Suzanne on Pinterest

                                                                     Source: via Suzanne on Pinterest

                                                                         Source: via Suzanne on Pinterest

== Attached: calculated crystals ==
........
Compound: La3InGa2
Source: the Alexandria database
Functional: PBE
Structure: optimized geometry

Results
Fermi-level density of states   7.142 states/eV per cell
Uncorrected energy   -4.4647 eV/atom
ΔH_f (0 K)   -51.7 kJ/mol of atoms

Cell and atoms, written as POSCAR:
```
La3InGa2
1.0
5.426 0.000 0.000
-2.713 4.699 0.000
0.000 0.000 13.317
La In Ga
6 2 4
direct
0.000 0.000 0.240 La
0.000 0.000 0.760 La
0.333 0.667 0.417 La
0.333 0.667 0.926 La
0.667 0.333 0.074 La
0.667 0.333 0.583 La
0.333 0.667 0.670 In
0.667 0.333 0.330 In
0.000 0.000 0.000 Ga
0.000 0.000 0.500 Ga
0.333 0.667 0.171 Ga
0.667 0.333 0.829 Ga
```


{
  "formula": "CdGeBAs2",
  "functional": "PBE",
  "state": "relaxed",
  "lattice": [[-3.976, 1.201, 3.295], [-0.894, -4.015, 0.385], [3.315, -0.342, 4.124]],
  "species": ["Cd", "Ge", "As", "As", "B"],
  "frac_coords": [[0.000, 0.000, 0.000], [0.500, 0.500, 0.500], [0.000, 0.000, 0.500], [0.500, 0.000, 0.000], [0.000, 0.500, 0.000]],
  "total_magnetization_mub_per_fu": 0.000,
  "formation_enthalpy_0k_ev_per_atom": 1.34
}
........
== The piece goes on ==

                                                                        Source: via Suzanne on Pinterest

                                                                   Source: via Suzanne on Pinterest

                                                                       Source: via Suzanne on Pinterest

                                                                              Source: via Suzanne on Pinterest

I'd love to have you join me on Pinterest!  Happy Wednesday, friends!

Monday, February 25, 2013

Oysters & BB Guns (With Video)

My, oh my, what a weekend!  So much fun...

When a Saturday night unexpectedly ends like this, you know something has gone right.

I'm getting a bit ahead of myself, though.

On Friday, I got to see Warm Bodies with two of my favorite people.  I really had zero expectations going into the theater.  My sister saw it weeks ago and loved it, but we have totally different tastes in movies, so that opinion didn't hold much water.  I was so pleasantly surprised.  It was, hands down, one of the wittiest movies I've seen in a while.  Highly recommended!

The text is interrupted by data records >
'''
Density functional theory data (PBE) for crystalline SrLiS2O8 at its relaxed geometry.

abc: 5.205 5.205 7.069
angles: 90.00 90.00 120.00
Atoms (fractional coordinates):
O: 0.645 0.823 0.696
O: 0.178 0.355 0.696
O: 0.355 0.177 0.304
O: 0.667 0.333 0.025
O: 0.333 0.667 0.975
O: 0.822 0.645 0.304
O: 0.823 0.178 0.304
O: 0.177 0.822 0.696
Li: 0.000 0.000 0.500
S: 0.667 0.333 0.236
S: 0.333 0.667 0.764
Sr: 0.000 0.000 0.000

## Properties
calculated volume: 13.819 Å³/atom
raw total energy: -6.08 eV per atom
symmetry: P-3m1, No. 164

---

Density functional theory data (PBE) for crystalline LaZnTc2 at its relaxed geometry.

abc: 4.446 4.446 5.830
angles: 67.49 67.49 59.99
Atoms (fractional coordinates):
Tc: 0.067 0.067 0.798
Tc: 0.433 0.433 0.702
Zn: 0.750 0.750 0.750
La: 0.250 0.250 0.250

## Properties
formation enthalpy at 0 K: 0.020 eV per atom
calculated volume: 22.382 Å³/atom
raw total energy: -6.71 eV per atom
symmetry: C2/m, No. 12

---

Density functional theory data (PBE) for crystalline CuN2Cl4 at its relaxed geometry.

abc: 8.132 8.132 7.904
angles: 90.00 90.00 121.49
Atoms (fractional coordinates):
Cl: 0.651 0.349 0.500
Cl: 0.810 0.810 0.809
Cl: 0.690 0.690 0.309
Cl: 0.151 0.849 0.000
Cl: 0.310 0.310 0.691
Cl: 0.190 0.190 0.191
Cl: 0.349 0.651 0.500
Cl: 0.849 0.151 0.000
N: 0.350 0.650 0.000
N: 0.650 0.350 0.000
N: 0.850 0.150 0.500
N: 0.150 0.850 0.500
Cu: 0.500 0.500 0.500
Cu: 0.000 0.000 0.000

## Properties
relative energy among the computed polymorphs: 678 meV per atom
calculated volume: 31.837 Å³/atom
raw total energy: -2.63 eV per atom
symmetry: Cmce, No. 64

---

Density functional theory data (PBE) for crystalline Pm5Zn2Ge5 at its relaxed geometry.

abc: 4.242 7.881 11.493
angles: 128.40 90.00 105.61
Atoms (fractional coordinates):
Ge: 0.934 0.868 0.640
Ge: 0.066 0.132 0.360
Ge: 0.755 0.510 0.823
Ge: 0.245 0.490 0.177
Ge: 0.000 0.000 0.000
Pm: 0.397 0.793 0.079
Pm: 0.500 0.000 0.500
Pm: 0.603 0.207 0.921
Pm: 0.699 0.397 0.327
Pm: 0.301 0.603 0.673
Zn: 0.141 0.283 0.756
Zn: 0.859 0.717 0.244

## Properties
formation enthalpy at 0 K: -0.696 eV per atom
calculated volume: 23.566 Å³/atom
raw total energy: -4.81 eV per atom
symmetry: C2/m, No. 12

=====

! Li3MnB2O6 (GGA+U, relaxed); values from VASP
&SYSTEM
  ibrav = 0, nat = 24, ntyp = 4
/
ATOMIC_SPECIES
O 16.00 O.upf
Li 6.94 Li.upf
B 10.81 B.upf
Mn 54.94 Mn.upf
ATOMIC_POSITIONS angstrom
O 1.650 -0.526 7.286
Li 2.341 -1.681 3.935
'''
Here the text continues >

On Saturday, my parents invited a few people over for an Oyster Roast. Growing up on the Gulf Coast, folks wait around all year for oyster season. My dad has always loved oysters, but my mom was never a fan, so I just didn't grow up eating them all the time. A few years ago at a Sunday School party, I tried my first oyster and was hooked. So, so good! I had literally been counting down the hours all last week until we got to Saturday. What was supposed to be a seafood dinner turned into an afternoon/evening oyster "graze." It was rainy and humid but perfect for a lazy day. Here are A LOT of images I snapped along the way. Get comfy...

Again, this was just our afternoon.  For dinner, we had fried oysters, fried shrimp, jambalaya, and sides.  I'm still drooling over it!

After a few interesting dinner conversations/Youtube videos, we decided to head back to the porch, bake a few more oysters, and, of course, practice target shooting with Coke cans. In the dark.


And, dessert...

Yes, that's a Fruity Pebbles "rice krispy" treat

I'll leave you with this gem. Enjoy! ;)

I'm so excited to be linking up with Leeann for the first time for Monday Morning Gossip!

Thursday, February 21, 2013

Liebster Award

I got a surprise when I checked my comments on Tuesday.  Hannah from the awesome blog Han-Spirations nominated me for a Liebster Award!  Thanks again, girl!

The rules are pretty straight forward....

1.  List 11 facts about yourself.
2.  Answer the 11 questions given to you.
3.  Create 11 new questions for the bloggers you nominate for the award.
4.  Choose 11 bloggers with 200 or fewer followers to nominate.
5.  Go to each bloggers place to let them know about the award.
6.  Thank the person who nominated you and link back to their blog.


Ok, eleven facts....

1.  My name was supposed to be Samantha, not Suzanne.  My parents made a last minute change when they panicked over whether or not their daughter would want the nickname "Sam" (wouldn't have bothered me one bit).  So...they compromised, changed my first name to Suzanne, and made my initials SAM.

2.  I'm a floss freak.  It is one of my favorite routines.

3.  I'm addicted to white chocolate lattes from Starbucks.  Get them every single time.

I want a bedazzled cup.  What about you??

4.  I take my computer to my vanity every morning and watch Hulu while I get ready.

5.  I don't get the appeal of Twitter.  Can someone help a girl out??

6.  As a kid, I was allergic to apple juice.  Now, I eat an apple every morning for breakfast. :)

7.  I'm a people-pleaser.  Always have been.  If something happens between a friend and me, I feel the need to fix it ASAP, which often means I apologize (even if it isn't my fault).

8.  A lot of times it is my fault...

9.  I used to do gymnastics/cheerleading stunts with my sister in the yard (when my parents weren't looking), and I once dropped her from a standing position on my shoulders.  Completely knocked the breath out of her, and I thought I broke her.  Not a bone, but her.  Scariest two minutes of my life.

10.  I'm obsessed with using baskets for organization.  I'm looking around as I type this, and they're seriously everywhere.

11.  I have severe eye allergies to certain products, and, when I use them, I'll wake up with my eyes swollen shut.  Attractive...

Yes, those were completely random and unrelated, but those are the first things that popped in my head.  I probably should go to sleep...

Hannah's Questions...

1.  What is your worst habit?

Staying up too late every night.  Like right now (see above)...  I honestly wake up every morning and realize it was a bad idea...only to repeat again that night.

2.  What is your go-to store for clothes?

This is sorta lame, but my honest-to-goodness favorite store is The Loft.  I have friends that call it the "old lady store."  It was also given that oh-so-pleasant title in a recent movie, but I just don't care!  I love it. I also love boutiques, but I get almost all my clothes from The Loft.  They have some seriously great sales that go on throughout the year.  Sign up for the emails -- that's where it's at!

Loving this blue blazer!

3.  What is your favorite thing to have monogrammed?

Umm, everything!  I would monogram my dog, if it were legal.  My next planned monogram purchase will probably be bed sheets.  Why?  Because I can.

Some Christmas presents from friends and fam.

4.  What was your first job?

I guess I would have to say babysitting.  I started babysitting in the 7th grade (I think), and it pretty much consumed my life, right up through college.  Like EVERY weekend.  My dad also owns his own business, and I worked for him as a "gopher" in high school.

5.  Would you rather go out with friends or have a nice/calm night in?

Night in!  I'm such a homebody.  I go to the movies and/or dinner with friends just about every weekend, but my favorite thing to do is to stay home and bake in my pjs.  

6.  How long does it take you to get ready in the mornings?

Shower, breakfast, hair, and putting my face on- about an hour.  Just make-up and hair- about 25-30 minutes.  

7.  If you won a free trip for you and one other person, where would you go and who would you invite?

I would take my best friend, Nicole, to Charleston! 

8.  What do you do to relax?

I'm a bath person.  Love them.  Have you ever heard of LUSH?  It's this amazing bath/soap company, and I hoard their stuff whenever I can get my hands on it.  I know that Atlanta has several locations, and I just love them.

9.  If you have a smart phone then what is your favorite app?

Does Instagram count?  Either that or Words with Friends.  I know these aren't anything new, but I'm not a huge app person.  Most of my space is taken up by music.

10.  Beer, liquor, or wine?

Sweet tea, ha!  I'm really just not a drinker.

11.  What is your most prized possession?

In the last few years of my Granny's life, she decided to make afghan quilts for everyone she cared about the most.  I don't think I really understood how precious my blanket was when she gave it to me, but it means so much now.  If my house were on fire, it's the first material thing I'd reach for.

My Questions...

1.  Do you like scary movies?  If so, what's your favorite?
2.  Which do you prefer to read, fiction or nonfiction?
3.  Did you play any sports growing up?
4.  What's the best concert you've ever been to?
5.  Why did you decide to start blogging?
6.  Are you working in the job you thought you would be when you were in high school?
7.  Who is your favorite celebrity?
8.  Are you a good public speaker?
9.  What is your favorite place to vacation?
10.  What do you think is your biggest character flaw?
11.  What is your favorite recipe to make at home?


Ashley Nicole @ Horseshoes & Pearls
Tasha @ A Lott to Love

These ladies are wonderful and have excellent blogs!  Check them out!!

Wednesday, February 20, 2013

What I'm Loving

I have been great at keeping up with everyone else's blogs lately, but mine?  Not so much.  I've been feeling a bit under the weather since the end of last week, which has turned into a full-blown cold/sinus infection.  Something along those lines.  One of those not-bad-enough-to-take-off-work-but-miserable-enough-to-not-want-to-do-anything-when-I-get-home kinda colds.  Ya know...

Despite how I've been feeling, there are a few things I've been loving...

  • I've been loving the sweet V-Day gifts I got from precious 2nd graders.

  • LOVING:  The Southern Shirt Company- I have been drooling over this line for a while now and finally made an order at the beginning of this month.  Excellent, prompt delivery.  I loved everything so very much that I'm expecting order number two to arrive tomorrow afternoon. :)  (I'll show you what I picked up once I have it all in!)

  • Love that my best friend is getting an apartment of her own next week.  I couldn't be more happy for her!  I seriously can't wait to help decorate...

  • I'm loving that I finally got my Pinterest boards a bit more organized over the weekend.  Should I really be proud of this?

  • I'm crushing over every single pair of earrings that Kate Spade makes.  Case in point:

(I found all of these via Pinterest but couldn't find any on the Kate Spade website.  Guess they were from a different season.  Outlet, maybe??)

  • I'm also loving that the scale says I'm down 16 lbs. in 7 weeks.  Plenty more to go before I get to my goal, but it's a great start!

Happy Wednesday, friends!